58 posts

Parents know there are some milestones your child will go through. You might not expect that sometimes they feel like walking through a door that slams shut behind you and you can never go back. First words. First steps. Start of school. Those are things we expect and sometimes look forward to. They’re signs that …
Our second day in Nashville started a little slow. We went to the Belle Mead Plantation which is a working farm and an antebellum southern plantation. It was okay, but I’ve done plantations before and I get confused over all the names and dates. I guess I’m not a history nerd. The good thing about …
About a month ago or so, my sister-in-law sent me a message on Facebook wondering if I would be interested in the two of us (JUST the two of us) meeting somewhere about halfway between Akron, OH (where she lives) and Baton Rouge, LA (where I live) and spending just a few days doing touristy …
Yesterday afternoon, I “introduced” Noah to a bunch of toys he hadn’t played with since he discovered the “joys” of the DVD player and Netflix Instant Queue, not to mention the Wii. He went nuts, and I had to put new batteries in a very annoying truck that makes obnoxious sounds when you push buttons, …
**Unrelated to this entry: molecular data**
/*
99
Properties=species:S:1:pos:R:3:lowdin_charge:R:1 method="wB97M-V/def2-TZVPD" homo_energy_ev="-9.4 / -9.7" multiplicity=3 charge=+1 energy_ha=-3548.0400 relative_energy_kcal_mol=0.0
W 0.507 0.493 -0.377 1.728
Cl 1.984 3.383 -0.990 0.636
Cl 2.432 1.345 -2.923 0.649
O 0.215 -0.827 1.343 -0.063
O -4.415 -4.157 4.085 0.063
O -1.346 -0.567 -0.111 -0.082
O -2.471 -3.438 5.082 0.049
N -0.611 1.363 -1.804 -0.084
N 0.102 2.082 0.772 -0.126
N 2.368 0.427 0.376 -0.079
N 1.091 -0.901 -1.685 -0.121
C -3.039 -2.460 1.154 0.002
C -1.884 1.595 -3.717 0.041
C -0.720 -0.592 -3.320 -0.071
C 3.426 -1.318 -1.020 -0.072
C -1.344 2.563 -1.757 -0.204
C 0.669 2.320 2.024 -0.217
C -1.035 0.719 -2.979 -0.210
C -2.457 -2.178 -4.017 -0.019
C 7.094 -2.931 -2.483 -0.073
C 2.144 -2.647 -2.734 0.029
C -1.859 5.750 -0.199 -0.044
C -1.483 -1.262 -4.402 -0.223
C -3.959 -3.218 1.858 0.032
C 3.438 4.259 4.862 -0.065
C -2.671 6.861 -0.075 -0.066
C 3.462 -0.366 -0.007 -0.198
C -2.487 -3.036 3.783 -0.188
C 0.918 -2.488 -3.333 0.044
C -4.548 5.569 -0.810 -0.066
C -1.553 -2.312 3.093 0.093
C -0.900 3.040 0.628 -0.220
C -3.689 -4.122 5.303 -0.127
C 2.834 1.564 4.672 -0.032
C 3.707 3.414 5.926 -0.073
C 2.859 3.762 3.708 -0.030
C -2.042 2.735 -2.987 0.027
C 4.556 -0.118 0.867 0.035
C 4.122 0.726 1.843 0.036
C 3.398 2.066 5.830 -0.065
C 5.108 -1.626 -2.778 -0.034
C 2.967 2.962 -2.408 -0.884
C 6.679 -3.256 -1.202 -0.067
C 2.761 1.049 1.571 -0.213
C 5.485 -2.763 -0.699 -0.035
C -2.382 4.530 -0.624 -0.196
C -2.930 -2.657 -6.318 -0.075
C 6.299 -2.119 -3.273 -0.065
C -3.734 4.458 -0.953 -0.031
C -3.679 -3.478 3.182 -0.191
C -1.081 3.718 1.854 0.026
C -4.023 6.770 -0.360 -0.072
C 4.693 -1.932 -1.482 -0.203
C -1.241 -1.045 -5.751 -0.034
C 1.957 1.864 2.365 -0.064
C -0.980 -1.139 0.986 -0.506
C -1.859 -1.997 1.750 -0.134
C -1.964 -1.744 -6.703 -0.069
C -3.180 -2.870 -4.971 -0.065
C 0.305 -1.362 -2.737 -0.218
C 2.266 -1.643 -1.750 -0.239
C -1.510 3.335 -0.612 -0.063
C -0.113 3.270 2.720 0.034
C 2.557 2.409 3.606 -0.219
H -0.639 -1.976 3.554 0.134
H -4.278 -3.590 6.069 0.147
H -2.246 7.795 0.266 0.109
H -2.323 1.364 -4.670 0.122
H -4.150 3.525 -1.302 0.120
H 4.492 -0.991 -3.396 0.105
H -5.602 5.497 -1.034 0.109
H -3.220 -2.221 0.120 0.116
H 3.678 5.309 4.931 0.107
H 2.894 -3.381 -2.942 0.124
H -4.662 7.632 -0.241 0.108
H -3.481 -5.150 5.642 0.147
H 2.781 3.684 -3.200 0.038
H 5.524 -0.564 0.769 0.116
H 7.283 -3.906 -0.588 0.108
H 0.050 3.582 3.732 0.123
H 3.602 1.404 6.658 0.108
H 4.017 2.913 -2.124 0.041
H 4.680 1.115 2.671 0.123
H -4.867 -3.585 1.413 0.125
H -3.501 -3.191 -7.063 0.107
H 5.161 -3.046 0.294 0.123
H -2.600 3.614 -3.244 0.120
H -1.828 4.461 2.047 0.121
H 2.661 4.405 2.863 0.123
H -3.934 -3.584 -4.668 0.108
H -0.806 5.837 0.026 0.122
H 6.596 -1.875 -4.280 0.108
H -2.637 -2.330 -2.962 0.119
H 2.600 0.515 4.578 0.124
H -0.485 -0.339 -6.060 0.123
H 8.022 -3.322 -2.869 0.108
H 0.508 -3.051 -4.145 0.123
H 4.157 3.805 6.827 0.108
H -1.757 -1.578 -7.750 0.108

=====

(1)
*/
Do you know about Rebecca Black? She is this young girl whose mother paid $4,000 to a vanity video/music producer so Rebecca could record and make a video for this song called “Friday.” You can’t see the video anymore on YouTube, but it went viral because a lot of people think it’s the worst song …
We’re doing Vacation Bible School at our church this week and as always, I am the Drama Leader. I get to ham it up and act totally loony all in the name of Jesus. I absolutely love it. Of course, I’m exhausted when I get home and this year I’ve taken a pain pill each …
Someone pasted molecular data at this point:
+++
Here is an isolated ion of composition CH3N4 and charge +1 from the OMol25 dataset. Energies are from ωB97M-V with the def2-TZVPD basis set.

Element x y z (Å)
N (1.911, -0.386, 0.044)
N (0.743, -0.979, 0.069)
C (0.062, 0.370, -0.011)
N (1.164, 1.033, -0.029)
N (-1.228, 0.639, 0.071)
H (0.707, -2.033, 0.007)
H (-1.644, 1.590, 0.140)
H (-1.715, -0.233, -0.290)

## Properties
* frontier orbital gap (alpha / beta): 10.08 / 8.03 eV
* multiplicity: 3
* charge: +1

Here is a 2-piece molecular cluster, CH3N4O overall from the OMol25 dataset. Energies are from ωB97M-V with the def2-TZVPD basis set.

Element x y z (Å)
N (2.664, -0.392, -0.206)
N (-0.994, 1.203, -0.206)
N (-2.102, 0.683, -0.047)
H (3.298, 0.155, 0.412)
C (-0.102, 0.147, -0.111)
H (2.957, -1.388, 0.082)
N (-0.709, -0.963, 0.030)
H (-3.024, 1.298, 0.097)
O (-1.988, -0.743, -0.051)

## Properties
* frontier orbital gap (alpha / beta): 8.00 / 8.70 eV
* multiplicity: 1
* charge: +1

Here is an isolated ion of composition CH3N4O5S and charge -1 from the OMol25 dataset. Energies are from ωB97M-V with the def2-TZVPD basis set.

Element x y z (Å)
H (-1.105, -1.214, -0.770)
N (-1.743, 1.458, 0.612)
H (-2.639, -0.317, -0.875)
H (-1.386, 2.174, 1.194)
O (1.446, 1.393, -1.213)
O (2.380, -0.909, 0.069)
N (1.470, 1.243, -0.049)
C (-1.113, 0.373, 0.360)
O (2.049, 1.695, 0.821)
O (0.526, -1.687, -1.320)
S (0.993, -1.374, 0.052)
N (0.321, 0.122, 0.510)
N (-1.786, -0.592, -0.393)
O (0.588, -2.365, 1.002)

## Properties
* frontier orbital gap (alpha / beta): 6.35 / 6.49 eV
* multiplicity: 3
* charge: -1

Here is an isolated ion of composition CH3N4Si and charge -1 from the OMol25 dataset. Energies are from ωB97M-V with the def2-TZVPD basis set.

Element x y z (Å)
C (-0.891, 1.314, 1.429)
N (1.452, 1.359, 0.761)
H (-1.140, -0.482, -0.089)
Si (0.019, 0.278, 0.215)
N (-1.106, 2.117, 2.238)
N (1.596, 2.226, 1.515)
H (0.582, -0.774, 0.899)
H (0.403, 0.411, -1.388)
N (1.693, 2.962, 2.365)

## Properties
* frontier orbital gap: 9.03 eV
* multiplicity: 1
* charge: -1

Here is an isolated molecule of CH3N5 from the OMol25 dataset. Energies are from ωB97M-V with the def2-TZVPD basis set.

Element x y z (Å)
N (0.700, -1.590, 0.980)
H (0.715, -0.743, -1.841)
C (0.428, -0.530, 0.366)
N (-0.068, 0.512, 0.932)
H (1.115, -1.475, 1.917)
N (0.070, -0.415, -1.050)
H (-1.440, 1.160, -1.432)
N (-0.572, 1.222, 0.156)
N (-0.554, 0.877, -1.139)

## Properties
* frontier orbital gap: 9.70 eV
* multiplicity: 1
* charge: 0

Here is an isolated ion of composition CH3N5O and charge +2 from the OMol25 dataset. Energies are from ωB97M-V with the def2-TZVPD basis set.

Element x y z (Å)
H (1.375, -1.821, -0.136)
O (-1.420, -1.789, 0.013)
N (-1.148, -0.648, -0.001)
N (1.358, -0.784, -0.005)
N (-1.947, 0.420, 0.006)
H (2.300, -0.363, 0.127)
C (0.282, -0.132, -0.018)
N (-0.059, 1.413, 0.030)
N (-1.322, 1.486, -0.028)
H (0.581, 2.218, 0.011)

## Properties
* frontier orbital gap (alpha / beta): 7.63 / 7.63 eV
* multiplicity: 1
* charge: +2
+++
Some of my friends know that I love to sew. I mean, LOVE to sew. I had actually forgotten how much until this weekend. Our house has this HUGE rec room (30 x 24) and roughly half of is has been taken over by my craft stuff. This includes an old dining room table I …
I picked up my son from soccer camp today. He’s been going there every day and will be there every morning until the end of the week. This is his third year and from all accounts, he loves it. Anyway, it’s been super hot here in Louisiana, so by the time I pick him up …
Inserted here: calculated molecules =
ORCA calculation (ωB97M-V/def2-TZVPD) on a structure of composition AgBe2Cl in a non-equilibrium geometry.

The geometry in XYZ format:
```
4
Properties=species:S:1:pos:R:3:lowdin_charge:R:1
Be -0.0143 -1.0199 2.8192 1.578
Be -1.4545 -1.2900 -2.1458 1.571
Ag 1.2593 2.5022 -0.6879 0.922
Cl 0.2096 -0.1923 0.0145 -0.070
```

Calculated values
- DFT total energy: -17261.91819 eV
- Molecular weight: 161.34 g mol⁻¹
- Total charge: +4
- 2S+1: 1


# 1
Formula: C18H31Cl2CrN2O4
Source: the OMol25 dataset
Level of theory: ωB97M-V with the def2-TZVPD basis set

Computed properties:
frontier orbital gap (alpha / beta): 5.730 / 5.630 eV
E_HOMO (alpha / beta): -0.20485 / -0.20131 hartree
<S²>: 3.939

Structure (ORCA input):
```
! wB97M-V def2-TZVPD RIJCOSX def2/J DEFGRID3
* xyz 0 4
O 3.7709 1.9524 -0.6480
C 3.1021 2.0730 -1.6777
C 2.1978 3.2311 -1.9725
C 1.4280 3.8267 -0.9570
H 1.1372 3.2181 -0.0882
C 1.0596 5.1693 -1.0644
H 0.5559 5.6500 -0.2259
C 1.3561 5.8918 -2.2322
H 1.1552 6.9677 -2.2610
C 1.7807 5.1718 -3.3638
H 1.8435 5.7159 -4.2996
C 2.1432 3.8213 -3.2381
H 2.4157 3.2269 -4.1225
H 3.0098 1.2598 -2.4510
C 0.0219 -0.7141 -3.4660
C -0.9433 -0.0161 -2.5238
H -0.0674 -0.4251 -4.5306
H -0.0838 -1.8035 -3.3534
H 1.0592 -0.4210 -3.2091
C -1.4214 1.2113 -2.8946
C -2.3374 1.4837 -4.0579
H -1.0396 2.1085 -2.3689
H -2.0354 2.3548 -4.6690
H -3.3211 1.7146 -3.6298
H -2.4234 0.5840 -4.6852
Cr -0.6334 -0.4355 -0.5734
Cl -1.2437 1.6456 0.0393
Cl -2.4676 -1.3944 -1.5282
C -2.4587 -1.1841 1.5377
O -1.2589 -1.4522 1.2259
N -3.2488 -1.9766 2.2671
C -2.8086 -3.2924 2.7159
C -4.6625 -1.6657 2.4648
H -2.9006 -0.2393 1.1812
H -1.7411 -3.3895 2.4990
H -3.3737 -4.0831 2.2026
H -2.9916 -3.4206 3.7908
H -4.8641 -0.6483 2.1063
H -4.9568 -1.7315 3.5212
H -5.3113 -2.3692 1.9210
H 1.9046 -5.1168 -0.8460
H 4.2834 -3.8931 -0.4326
C 1.7973 -4.3429 -1.6163
C 3.9293 -3.1339 -1.1476
N 2.4725 -3.1211 -1.1942
H 0.7375 -4.1432 -1.7857
C 1.7862 -2.0321 -0.8581
O 0.5233 -2.0009 -0.9204
H 4.2728 -2.1420 -0.8318
H 2.3694 -1.1604 -0.5255
H 2.2651 -4.7068 -2.5382
H 4.3376 -3.3654 -2.1436
C 0.9488 0.1323 2.4851
O 1.2638 0.0677 1.0734
H 1.8579 0.2872 3.0999
H 0.5033 -0.8285 2.7621
H 0.2076 0.9313 2.6653
H 1.6869 0.9011 0.8177
*
```



# 2
Formula: C18H31Cl2F15N2O14S2
Source: the OMol25 dataset
Level of theory: ωB97M-V with the def2-TZVPD basis set

Computed properties:
frontier orbital gap: 5.109 eV
E_HOMO: -0.03969 hartree

Structure (ORCA input):
```
! wB97M-V def2-TZVPD RIJCOSX def2/J DEFGRID3
* xyz -2 1
N -12.2538 -20.8844 -7.8208
H -11.9567 -20.2414 -7.0722
H -13.2030 -20.6410 -8.1955
H -12.0075 -21.8348 -7.5742
H -11.6957 -20.7469 -8.6953
N -9.3117 -19.3133 -10.3253
H -10.2455 -19.7608 -10.5211
H -9.1799 -19.3946 -9.3161
H -9.3146 -18.3699 -10.6923
H -8.7216 -20.0217 -10.7995
C -6.0116 -23.2680 -11.3257
F -5.2369 -23.3794 -10.2394
F -5.5317 -22.3949 -12.1983
F -6.0144 -24.5194 -11.8204
S -7.8059 -22.8023 -10.9129
O -8.7189 -23.6151 -11.7100
O -7.9380 -23.0363 -9.4875
O -7.9689 -21.4000 -11.3069
This is a busy day for my son. As a normal 9-year-old boy who had ADHD, summer can be hard on my darling Noah. This is the first year he’s actually had friends who knock on the door asking if “Noah can come out and play,” and for that I’m totally grateful. Last summer was …
If you’ve read much of this blog, you know that I feel lost most of the time when it comes to my kids’ schools. Well, turns out that I’m apparently confused in the rest of my life, too. Every year, I sign my son up for swimming lessons at the local YMCA. He LOVES the …